Wednesday, June 14th at 5:30pm PST
Thursday, June 15th at 5:30pm PST
Friday, June 16th at 5:30pm PST
Click the “Get Tickets” button below to register and join us for this experience!
“Some feel the energy begin as soon as they decide to join the circle – that could be months, weeks, or minutes before the event. To start, we circle up, welcome all, and the facilitator and I invite everyone to have a seat on a yoga mat or chair if one is not comfy on the floor.
“We talk about expectations, intentions, what one might feel or not feel. We discuss that each circle is unlike another even if one has come to a circle 100 times before. Each circle is always different.
“We share protocol, that it is sacred and safe space, and I ask for loving respect for all who have come with heart; that we are dancing for the best and highest good of one and all, individually and collectively.
“Nothing is choreographed or planned. While many come with specific hopes, I, Jane don’t need to hear anything for Source to share harmonizing energy for each person there. I am literally danced, not knowing next which way I’m going or where my hands will respectfully and lovingly dance.
“Even the playlist for each circle, (save the Quanta Circles), is sometimes mixed right before the circle spontaneously as Source sees fit. For dancers, the music rides two waves, much like 5 Rhythms or Ecstatic Dance with Intro, Wave 1, Share, Wave 2, Share 2 and closing.
“As I dance for one, I dance for all in the Jane’s Dancing Hands Circle, the Quanta Circle, the Love Fest, the New Circles, and even in the Conversations with Source, Health & Peace Circle, and Meta-tations. This means, I could be dancing with one – working on her neck – and another across the room might have a spontaneous healing in a sore knee, that the pain-in-the-neck relationship with one’s sister is shaking out on the dance floor for healing and that could instantly repair is sore knee.
“Source goes and flows and knows best and we all may stand in proxy for the healing of another with no negative impact or residue from the experience beyond an extra sparkle of love as we commit with highest and best harmony with all. Anything that doesn’t serve goes in the compost!
“Depending upon the size of the circles, each can be as short as one-hour or as long as ninety minutes to two hours. If you join a bigger circle, plan accordingly. I will dance with all, but if the circle is large, I move quite quickly to ensure I dance with everyone. By the circle’s end, I will make sure I have as many lying comfortably down on the floor as possible as I will touch the heads or hands of all with final blessings, activations, or deeper experiences of meditation. Those who can’t lie or get off the floor easily are welcome to receive the energy comfortably from a chair – all good.
┌──
{"formula": "C4H8N2O", "method": "wB97M-V/def2-TZVPD", "species": ["N", "C", "H", "C", "H", "H", "H", "C", "N", "C", "H", "H", "O", "H", "H"], "xyz": [[-2.054, 1.977, -0.495], [-1.246, -0.020, 0.602], [-2.851, 1.950, -1.121], [2.156, -0.546, 0.403], [2.106, -0.760, -1.813], [2.874, -1.298, 0.755], [2.704, 0.388, 0.252], [1.559, -1.029, -0.890], [-0.967, -0.566, 1.677], [-1.372, 0.732, -0.472], [-0.905, 0.428, -1.402], [-1.562, -1.369, 1.891], [0.552, -1.691, -0.982], [1.379, -0.427, 1.163], [-2.372, 2.231, 0.432]], "nbo_charge": [-0.806, 0.353, 0.365, -0.740, 0.102, 0.241, 0.223, 0.448, -0.643, -0.229, 0.230, 0.368, -0.537, 0.260, 0.365], "gap_ev": 9.0, "molar_mass_g_mol": 100.1, "de_lowest_kcal_mol": 71.36, "charge": 0, "smiles": "N=C=CN.CC=O"}

{"formula": "CH3ClFOP", "method": "wB97M-V/def2-TZVPD", "species": ["Cl", "H", "O", "H", "C", "H", "F", "P"], "xyz": [[-3.587, 1.307, 1.826], [0.660, 0.602, 0.259], [-1.204, 0.436, 1.162], [0.223, -0.905, 1.383], [-0.051, -0.080, 0.719], [-0.724, -0.192, -1.201], [-1.078, -0.131, -2.087], [-2.276, -0.198, 2.068]], "nbo_charge": [-0.291, 0.196, -0.741, 0.159, -0.151, 0.544, -0.575, 0.859], "gap_ev": [7.3, 8.2], "molar_mass_g_mol": 116.5, "de_lowest_kcal_mol": 116.49, "charge": 0}
└──
**The data records stop here:**
“Most all participants feel something, but for those who don’t, be assured the energy is always given and flows with peace and love whether one’s perceptions are aligned to feel it or not. Some may feel shifts immediately in the room, near immediately, or much later. You are encouraged not to worry about the timing but encouraged to keep your eyes and heart open for when the gifts exchanged between Source and your higher self to bloom. Again, it is always right timing for the spiritual gifts to be received when it is best for the mind, body, spirit, and emotions. Compassion and grace for your best timing, as mysterious as it may be, are always welcome. There is a reason much of which is sacred is mysterious.
“After the active dancing with the circle, we have found that when one shares – even a word or sentence of what they experienced – it gives breath, air, wings, and heart to the gift running in that participant. When we name what we experience whether with trust, gratitude, or even wonder we allow greater assimilation blooming of the Source flow. “Where two or more are gathered,” sharing in a group gives even more traction for the gifts of all attendees to open wider than before.
“With permission, I may tap or touch the limbs and head to the comfort of the participants and do my best to hug all before we stretch back into our more human form. When it is not aligned to touch, I may use my own body as proxy with equal flow.
“I understand much of what happens defies some human understanding and to receive energy in a moving meditation like dance may seem strange to a few in our modern world, but it is one of the most ancient ways communities gathered to connect the body temple with Source energy on the Earth temple of Source and its Pura Vida. When we allow ourselves to return to the primordial forms of dancing with gratitude, wonder, discovery, and harmony we have the opportunity to reconnect not only with Source, but our sacred, ancestral lineage. And it’s fun! Icing for those who’d like to get off their meditation cushions and play in the joyful dance of what can be.”
“OH, HOW I APPRECIATE YOU ALL! I felt the energy so deeply today, and even stood up and danced, then laid on the floor, which seemed to release even more. LOVE! My ‘spot’ is clearing, and my upper abdomen pain is gone from the ‘surgeries’ these past 2 days! Just had to send a Celebration Text – Soooo grateful!”
– T. Thomas
“This was my first experience. The energy was so intense, I felt bathed in Light and Love. I couldn’t keep my eyes open. Thank you so much.”
• Records of molecules, kept here for reference:
- - -
#a
DFT (ωB97M-V with the def2-TZVPD basis set) results for a cluster of 4 separate species, H8O4 in total.

Values from the calculation:
* structure (SMILES): O.O.O.O
* orbital gap: 0.395 Ha
* LUMO energy: 0.378 eV
* highest occupied orbital energy: -10.38 eV

The geometry in ORCA input format:
```
! RIJCOSX wB97M-V def2-TZVPD def2/J DEFGRID3
* xyz 0 1
O 5.327 5.834 3.746
H 5.499 5.925 2.809
H 6.182 5.950 4.160
O 3.432 6.130 7.495
H 3.212 6.129 8.427
H 3.555 7.054 7.278
O 2.061 2.367 6.726
H 2.691 2.351 7.446
H 2.383 3.051 6.140
O 3.616 4.050 5.438
H 3.171 4.644 6.043
H 4.131 4.625 4.872
*
```



#b
DFT (ωB97M-V with the def2-TZVPD basis set) results for a cluster of 4 separate species, H8O4 in total.

Values from the calculation:
* structure (SMILES): O.O.O.O
* orbital gap: 0.391 Ha
* LUMO energy: 0.233 eV
* highest occupied orbital energy: -10.42 eV

The geometry in ORCA input format:
```
! RIJCOSX wB97M-V def2-TZVPD def2/J DEFGRID3
* xyz 0 1
O -28.180 3.601 20.490
H -27.890 4.376 19.991
H -28.207 2.887 19.844
O -27.908 2.671 22.978
H -27.961 3.292 23.710
H -28.028 3.223 22.162
O -26.066 5.732 19.183
H -26.485 5.669 18.317
H -25.314 6.318 19.046
O -28.719 0.188 22.155
H -28.326 -0.149 21.344
H -28.280 1.053 22.319
*
```



Of them, #a has the lowest stability.



#a
DFT (ωB97M-V with the def2-TZVPD basis set) results for a cluster of 4 separate species, H8O4 in total.

Values from the calculation:
* structure (SMILES): O.O.O.O
* orbital gap: 0.410 Ha
* LUMO energy: 0.044 eV
* highest occupied orbital energy: -11.10 eV

The geometry in ORCA input format:
```
! RIJCOSX wB97M-V def2-TZVPD def2/J DEFGRID3
* xyz 0 1
O 0.060 -1.108 -1.289
H 0.058 -0.172 -1.514
H -0.867 -1.366 -1.281
O -0.496 3.570 0.374
H -0.734 3.394 -0.540
H -0.360 2.695 0.759
O -0.661 0.703 0.976
H -1.441 0.707 1.539
H -0.548 -0.215 0.702
O 2.031 -2.794 -0.018
H 1.626 -3.064 0.809
H 1.331 -2.350 -0.516
*
```



#b
DFT (ωB97M-V with the def2-TZVPD basis set) results for a cluster of 4 separate species, H8O4 in total.

Values from the calculation:
* structure (SMILES): O.O.O.O
* orbital gap: 0.406 Ha
* LUMO energy: 0.088 eV
* highest occupied orbital energy: -10.96 eV

The geometry in ORCA input format:
```
! RIJCOSX wB97M-V def2-TZVPD def2/J DEFGRID3
* xyz 0 1
O -0.325 1.601 0.225
H -0.181 1.242 -0.627
H -1.218 1.552 0.410
O -0.811 -1.522 -0.261
H -0.141 -1.735 0.356
H -0.240 -0.974 -0.829
O 0.613 0.018 -1.918
H 0.591 0.133 -2.840
H 1.530 0.211 -1.709
O 0.074 -0.043 2.726
H 0.070 0.477 1.917
H 0.039 -0.961 2.550
*
```



Of them, #b has the lowest stability.
- - -
– A.C.
“I was completely relaxed. I have been stressed and agitated and a little angry. It was so beautiful to just… be. Tingles and deep breaths and calm. I needed that.”
– N.P.
“I feel peace. Thank you for this amazing Source transmission, it’s beyond words. I felt the sacredness so deeply. Thank you, thank you, thank you, and blessing on everyone.”
– M.J.
“I completely felt close to something ancient. I felt held. I felt like when you were saying “It’s ok” over and over. It was for me. Thank you.”
– M.C.
Click the button below to register and join us for this experience!
In the last 13 years Jane has traveled the world producing live events and documentaries – primarily empowering spiritually connected groups and individuals. After a surprising activation in May 2015, Jane suddenly found her hands “dancing” in ways that have also begun helping others find peace, alignment, joy, unconditional love, even opening up abilities of self-healing in groups and individuals, and situations in what Sibbett calls a tide of purest Source energy.
Jane doesn’t call herself a healer for that suggests training and certification, but merely a vessel, a conduit, or a prayer dancer where harmonizing and healing in mind, body, emotions, and spirit can and often does occur during and after Dancing Hands sessions or events. Because that which happens when Jane’s hands automatically begin dancing defies tradition or definition – it is not reiki or tapping or anything like anything she or others know — her friends coined “Jane’s Dancing Hands” simply describing their motion, not what they do. How they connect with each person is as different every time as it is with every circle, ever rotation, every session, yet always bringing peace to all. Source is encouraging we try on JANE’s dance with the acronym Joyfully Activating Nurturing Energy.
To find out more about this gift which continues to delight and surprise Jane even after meeting and dancing with thousands all over the world for nearly eight years, please explore: JANESIBBETT.COM
See more about what we are talking about here:
YouTube with Eric Lutes and Lyme with Jane’s Dancing Hands:
Dancing Hands on Facebook: